File >
........
! CrSnO2, relaxed, DFT PBE with a Hubbard U; values from VASP
! total moment: 2.99 μB/f.u.
! D(E_F): 0.42 states/eV per cell
! total DFT energy (no corrections): -27.2 eV per cell
&SYSTEM
  ibrav = 0, nat = 4, ntyp = 3
/
ATOMIC_SPECIES
Cr 52.00 Cr.upf
Sn 118.71 Sn.upf
O 16.00 O.upf
ATOMIC_POSITIONS crystal
Cr 0.0000 0.0000 0.0000
Sn 0.3333 0.6667 0.5112
O 0.3333 0.6667 0.8421
O 0.6667 0.3333 0.1452
CELL_PARAMETERS angstrom
3.1044 0.0000 0.0000
-1.5522 2.6885 0.0000
0.0000 0.0000 6.6458

~~~~~

# PBE SrWAu2, optimized geometry
data_SrWAu2
_cell_length_a 6.997
_cell_length_b 6.997
_cell_length_c 6.997
_cell_angle_alpha 90.00
_cell_angle_beta 90.00
_cell_angle_gamma 90.00
_space_group_name_H-M_alt 'F -4 3 m'
_space_group_IT_number 216
_space_group_name_Hall 'F -4 2 3'
loop_
_atom_site_label
_atom_site_fract_x
_atom_site_fract_y
_atom_site_fract_z
_atom_site_occupancy
Sr1 0.000 0.000 0.000 1
W1 0.250 0.250 0.250 1
Au1 0.000 0.000 0.500 1
Au2 0.250 0.250 0.750 1
# - energy relative to the lowest polymorph listed for this composition (meV/atom) = 520


# PBE SrW2Au, optimized geometry
data_SrW2Au
_cell_length_a 4.750
_cell_length_b 4.750
_cell_length_c 19.564
_cell_angle_alpha 90.00
_cell_angle_beta 90.00
_cell_angle_gamma 90.00
_space_group_name_H-M_alt 'I -4 2 d'
_space_group_IT_number 122
_space_group_name_Hall 'I -4 2bw'
loop_
_atom_site_label
_atom_site_fract_x
_atom_site_fract_y
_atom_site_fract_z
_atom_site_occupancy
Sr1 0.000 0.000 0.000 1
W1 0.026 0.250 0.625 1
Au1 0.000 0.000 0.500 1
# - energy relative to the lowest polymorph listed for this composition (meV/atom) = 704


# PBE Sr4WAu, optimized geometry
data_Sr4WAu
_cell_length_a 9.519
_cell_length_b 9.519
_cell_length_c 9.519
_cell_angle_alpha 90.00
_cell_angle_beta 90.00
_cell_angle_gamma 90.00
_space_group_name_H-M_alt 'F -4 3 m'
_space_group_IT_number 216
_space_group_name_Hall 'F -4 2 3'
loop_
_atom_site_label
_atom_site_fract_x
_atom_site_fract_y
_atom_site_fract_z
_atom_site_occupancy
Sr1 0.125 0.125 0.125 1
W1 0.250 0.250 0.750 1
Au1 0.000 0.000 0.500 1
# - DFT total energy (eV per atom) = -2.58


Result set for total magnetic moment: 2.86; 0.00; 4.57 μB/f.u., one per record in the order listed.
Result set for calculated volume: 21.413; 27.588; 35.943 A^3/atom, one per record in the order listed.

~~~~~

<i>
Density functional theory data (PBE) for a relaxed Pm3PrTl2 crystal.

abc: 5.265 10.328 6.923
angles: 90.00 90.00 90.00
Sites, in units of the cell vectors:
Pm 0.000 0.044 0.000
Pm 0.000 0.314 0.369
Pm 0.000 0.686 0.869
Pm 0.000 0.956 0.500
Pm 0.500 0.183 0.726
Pm 0.500 0.817 0.226
Pr 0.500 0.456 0.099
Pr 0.500 0.544 0.599
Tl 0.000 0.363 0.838
Tl 0.000 0.637 0.338
Tl 0.500 0.134 0.257
Tl 0.500 0.866 0.757

Computed properties:
Its space group is Pmc2_1.


<ii>
Density functional theory data (PBE) for a relaxed Pm3PrTl2 crystal.

abc: 8.906 8.906 9.484
angles: 118.11 118.11 35.92
Sites, in units of the cell vectors:
Pm 0.059 0.059 0.214
Pm 0.305 0.305 0.501
Pm 0.382 0.382 0.955
Pm 0.618 0.618 0.045
Pm 0.695 0.695 0.499
Pm 0.941 0.941 0.786
Pr 0.129 0.129 0.674
Pr 0.871 0.871 0.326
Tl 0.226 0.226 0.092
Tl 0.483 0.483 0.330
Tl 0.517 0.517 0.670
Tl 0.774 0.774 0.908

Computed properties:
Its space group is C2/m.


What should be chosen as the least stable of them? Choose <ii>.


<i>
Density functional theory data (PBE) for a relaxed Pm3PrTl4 crystal.

abc: 3.631 7.394 18.927
angles: 90.00 90.00 90.00
Sites, in units of the cell vectors:
Pm 0.000 0.000 0.000
Pm 0.000 0.500 0.218
Pm 0.000 0.500 0.782
Pm 0.500 0.000 0.282
Pm 0.500 0.000 0.718
Pm 0.500 0.500 0.500
Pr 0.000 0.000 0.500
Pr 0.500 0.500 0.000
Tl 0.000 0.289 0.372
Tl 0.000 0.289 0.628
Tl 0.000 0.711 0.372
Tl 0.000 0.711 0.628
Tl 0.500 0.211 0.128
Tl 0.500 0.211 0.872
Tl 0.500 0.789 0.128
Tl 0.500 0.789 0.872

Computed properties:
Its space group is Immm.


<ii>
Density functional theory data (PBE) for a relaxed Pm3PrTl4 crystal.

abc: 3.894 3.894 15.586
angles: 90.00 90.00 90.00
........

Assignment >
Find the line earlier on that holds "0.000 0.956", then write out that line and all lines after it there, please.

Outcome >
Pm 0.000 0.956 0.500
Pm 0.500 0.183 0.726
Pm 0.500 0.817 0.226
Pr 0.500 0.456 0.099
Pr 0.500 0.544 0.599
Tl 0.000 0.363 0.838
Tl 0.000 0.637 0.338
Tl 0.500 0.134 0.257
Tl 0.500 0.866 0.757

Computed properties:
Its space group is Pmc2_1.


<ii>
Density functional theory data (PBE) for a relaxed Pm3PrTl2 crystal.

abc: 8.906 8.906 9.484
angles: 118.11 118.11 35.92
Sites, in units of the cell vectors:
Pm 0.059 0.059 0.214
Pm 0.305 0.305 0.501
Pm 0.382 0.382 0.955
Pm 0.618 0.618 0.045
Pm 0.695 0.695 0.499
Pm 0.941 0.941 0.786
Pr 0.129 0.129 0.674
Pr 0.871 0.871 0.326
Tl 0.226 0.226 0.092
Tl 0.483 0.483 0.330
Tl 0.517 0.517 0.670
Tl 0.774 0.774 0.908

Computed properties:
Its space group is C2/m.


What should be chosen as the least stable of them? Choose <ii>.


<i>
Density functional theory data (PBE) for a relaxed Pm3PrTl4 crystal.

abc: 3.631 7.394 18.927
angles: 90.00 90.00 90.00
Sites, in units of the cell vectors:
Pm 0.000 0.000 0.000
Pm 0.000 0.500 0.218
Pm 0.000 0.500 0.782
Pm 0.500 0.000 0.282
Pm 0.500 0.000 0.718
Pm 0.500 0.500 0.500
Pr 0.000 0.000 0.500
Pr 0.500 0.500 0.000
Tl 0.000 0.289 0.372
Tl 0.000 0.289 0.628
Tl 0.000 0.711 0.372
Tl 0.000 0.711 0.628
Tl 0.500 0.211 0.128
Tl 0.500 0.211 0.872
Tl 0.500 0.789 0.128
Tl 0.500 0.789 0.872

Computed properties:
Its space group is Immm.


<ii>
Density functional theory data (PBE) for a relaxed Pm3PrTl4 crystal.

abc: 3.894 3.894 15.586
angles: 90.00 90.00 90.00